-- Request --
It remains to start at the top of the contents further below and echo each line, ending with the one that has "O34 0.946".

-- Source --
____________
A relaxed Li5Mn6B6O18 crystal, computed with PBE+U.

Computed properties:
As for the energy of formation: -2476.8 meV per atom. The magnetic moment is 58.0 Bohr magnetons per cell. The excess energy over the best structure of this formula in the dataset is 19 kJ/mol of formula units.

Unit cell a=9.149 b=9.149 c=11.850 alpha=114.33 beta=114.33 gamma=59.92
Fractional coordinates of all 70 atoms:
Li1 0.055 0.568 0.250
Li2 0.097 0.575 0.006
Li3 0.229 0.771 0.500
Li4 0.392 0.896 0.249
Li5 0.432 0.904 0.001
Li6 0.568 0.055 0.750
Li7 0.575 0.097 0.506
Li8 0.771 0.229 0.000
Li9 0.896 0.392 0.749
Li10 0.904 0.432 0.501
Mn1 0.035 0.903 0.217
Mn2 0.087 0.890 0.963
Mn3 0.213 0.401 0.722
Mn4 0.241 0.413 0.470
Mn5 0.401 0.213 0.222
Mn6 0.413 0.241 0.970
Mn7 0.532 0.712 0.719
Mn8 0.560 0.746 0.469
Mn9 0.712 0.532 0.219
Mn10 0.746 0.560 0.969
Mn11 0.890 0.087 0.463
Mn12 0.903 0.035 0.717
B1 0.059 0.207 0.208
B2 0.085 0.232 0.961
B3 0.207 0.059 0.708
B4 0.232 0.085 0.461
B5 0.372 0.552 0.212
B6 0.416 0.569 0.968
B7 0.552 0.372 0.712
B8 0.569 0.416 0.468
B9 0.718 0.863 0.213
B10 0.742 0.903 0.962
B11 0.863 0.718 0.713
B12 0.903 0.742 0.462
O1 0.003 0.402 0.951
O2 0.022 0.144 0.675
O3 0.067 0.662 0.443
O4 0.137 0.982 0.423
O5 0.144 0.022 0.175
O6 0.151 0.266 0.505
O7 0.158 0.308 0.258
O8 0.194 0.632 0.199
O9 0.266 0.151 0.005
O10 0.281 0.883 0.688
O11 0.304 0.484 0.930
O12 0.308 0.158 0.758
O13 0.346 0.741 0.972
O14 0.372 0.456 0.673
O15 0.402 0.003 0.451
O16 0.456 0.372 0.173
O17 0.469 0.652 0.259
O18 0.473 0.597 0.503
O19 0.484 0.304 0.430
O20 0.540 0.946 0.199
O21 0.597 0.473 0.003
O22 0.632 0.194 0.699
O23 0.642 0.807 0.930
O24 0.652 0.469 0.759
O25 0.662 0.067 0.943
O26 0.679 0.801 0.675
O27 0.741 0.346 0.472
O28 0.801 0.679 0.175
O29 0.807 0.642 0.430
O30 0.819 0.960 0.265
O31 0.826 0.925 0.512
O32 0.883 0.281 0.188
O33 0.925 0.826 0.012
O34 0.946 0.540 0.699
O35 0.960 0.819 0.765
O36 0.982 0.137 0.923

~~~~~

5
Lattice="4.2685 0.0000 0.0000 0.0000 4.2685 0.0000 0.0000 0.0000 4.2685" Properties=species:S:1:pos:R:3 comment="EuTmO3 (PBE, relaxed)" energy_mp2020_ev_per_atom=-9.11 e_tot_ev_per_cell=-43.5 vol_a3_per_cell=77.8 magnetic_moment_mub_per_cell=6.00 delta_e_f_mev_per_atom=-3191.1 pbc="T T T"
Eu 0.0000 0.0000 0.0000
Tm 2.1343 2.1343 2.1343
O 0.0000 2.1343 2.1343
O 2.1343 0.0000 2.1343
O 2.1343 2.1343 0.0000

12
Lattice="8.0591 0.0000 0.0000 0.0000 2.5552 4.4230 0.0000 -2.5552 4.4230" Properties=species:S:1:pos:R:3 comment="ZrVCo (PBE, relaxed)" e_tot_ev_per_cell=-101.8 vol_a3_per_cell=182.2 magnetic_moment_mub_per_cell=0.00 delta_e_f_mev_per_atom=-233.8 pbc="T T T"
Zr 1.4349 0.0000 0.0000
Zr 2.4446 0.0000 5.9178
Zr 5.6144 0.0000 5.9178
Zr 6.6242 0.0000 0.0000
V 1.9166 0.0000 2.9403
V 4.0295 -1.2863 3.7589
V 4.0295 1.2863 3.7589
V 6.1425 0.0000 2.9403
Co 0.0000 -1.2578 6.6371
Co 0.0000 0.0000 4.4922
Co 0.0000 1.2578 6.6371
Co 4.0295 0.0000 1.5000

8
Lattice="-2.2470 2.2470 4.3861 2.2470 -2.2470 4.3861 2.2470 2.2470 -4.3861" Properties=species:S:1:pos:R:3 comment="MnZnN2 (PBE, relaxed)" energy_mp2020_ev_per_atom=-7.02 e_tot_ev_per_cell=-54.7 vol_a3_per_cell=88.6 magnetic_moment_mub_per_cell=2.24 delta_e_f_mev_per_atom=-241.7 pbc="T T T"
Mn 0.0000 0.0000 0.0000
Mn 0.0000 2.2470 2.1930
Zn 2.2470 0.0000 2.1930
Zn 0.0000 0.0000 4.3861
N 1.1235 0.9263 -1.0965
N 1.3207 -1.1235 5.4826
N 1.1235 1.3207 3.2895
N 0.9263 3.3705 1.0965

14
Lattice="0.0000 5.4008 5.4008 5.4008 0.0000 5.4008 5.4008 5.4008 0.0000" Properties=species:S:1:pos:R:3 comment="MnIn2S4 (PBE, relaxed)" energy_mp2020_ev_per_atom=-5.31 e_tot_ev_per_cell=-70.4 vol_a3_per_cell=315.1 delta_e_f_mev_per_atom=-855.5 pbc="T T T"
Mn 1.3502 1.3502 1.3502
Mn 9.4513 9.4513 9.4513
In 5.4008 2.7004 2.7004
In 2.7004 5.4008 2.7004
In 2.7004 2.7004 5.4008
In 5.4008 5.4008 5.4008
S 2.7537 2.7537 2.7537
S 5.3475 5.3475 2.7537
S 5.3475 2.7537 5.3475
S 8.0479 5.4541 5.4541
S 2.7537 5.3475 5.3475
S 5.4541 8.0479 5.4541
S 5.4541 5.4541 8.0479
S 8.0479 8.0479 8.0479

72
____________

-- Response --
A relaxed Li5Mn6B6O18 crystal, computed with PBE+U.

Computed properties:
As for the energy of formation: -2476.8 meV per atom. The magnetic moment is 58.0 Bohr magnetons per cell. The excess energy over the best structure of this formula in the dataset is 19 kJ/mol of formula units.

Unit cell a=9.149 b=9.149 c=11.850 alpha=114.33 beta=114.33 gamma=59.92
Fractional coordinates of all 70 atoms:
Li1 0.055 0.568 0.250
Li2 0.097 0.575 0.006
Li3 0.229 0.771 0.500
Li4 0.392 0.896 0.249
Li5 0.432 0.904 0.001
Li6 0.568 0.055 0.750
Li7 0.575 0.097 0.506
Li8 0.771 0.229 0.000
Li9 0.896 0.392 0.749
Li10 0.904 0.432 0.501
Mn1 0.035 0.903 0.217
Mn2 0.087 0.890 0.963
Mn3 0.213 0.401 0.722
Mn4 0.241 0.413 0.470
Mn5 0.401 0.213 0.222
Mn6 0.413 0.241 0.970
Mn7 0.532 0.712 0.719
Mn8 0.560 0.746 0.469
Mn9 0.712 0.532 0.219
Mn10 0.746 0.560 0.969
Mn11 0.890 0.087 0.463
Mn12 0.903 0.035 0.717
B1 0.059 0.207 0.208
B2 0.085 0.232 0.961
B3 0.207 0.059 0.708
B4 0.232 0.085 0.461
B5 0.372 0.552 0.212
B6 0.416 0.569 0.968
B7 0.552 0.372 0.712
B8 0.569 0.416 0.468
B9 0.718 0.863 0.213
B10 0.742 0.903 0.962
B11 0.863 0.718 0.713
B12 0.903 0.742 0.462
O1 0.003 0.402 0.951
O2 0.022 0.144 0.675
O3 0.067 0.662 0.443
O4 0.137 0.982 0.423
O5 0.144 0.022 0.175
O6 0.151 0.266 0.505
O7 0.158 0.308 0.258
O8 0.194 0.632 0.199
O9 0.266 0.151 0.005
O10 0.281 0.883 0.688
O11 0.304 0.484 0.930
O12 0.308 0.158 0.758
O13 0.346 0.741 0.972
O14 0.372 0.456 0.673
O15 0.402 0.003 0.451
O16 0.456 0.372 0.173
O17 0.469 0.652 0.259
O18 0.473 0.597 0.503
O19 0.484 0.304 0.430
O20 0.540 0.946 0.199
O21 0.597 0.473 0.003
O22 0.632 0.194 0.699
O23 0.642 0.807 0.930
O24 0.652 0.469 0.759
O25 0.662 0.067 0.943
O26 0.679 0.801 0.675
O27 0.741 0.346 0.472
O28 0.801 0.679 0.175
O29 0.807 0.642 0.430
O30 0.819 0.960 0.265
O31 0.826 0.925 0.512
O32 0.883 0.281 0.188
O33 0.925 0.826 0.012
O34 0.946 0.540 0.699